QR2.1.3 Reloading Reality

Information theory clarifies why a physical world can’t output itself, because that would require a context specified in advance based on physical states that are not yet defined. As McCabe concludes:

“All our digital simulations need an interpretive context to define what represents what. All these contexts derive from the physical world. Hence the physical world cannot also be the output of such a simulation.” (McCabe, 2005).

The same physical world can’t be both processor and output but can one part save and reload another? Could we save and reload physical reality as we do information? To save a matter scene as we do a game scene requires a data structure that existed before the scene did, so it can’t be based on matter. To save a game requires a pre-defined data structure, so if a new game version changes that, old saves don’t work! To reload a universe would likewise require a known data structure else the result would be nonsense, just as reloading a WordPerfect file into Word gives gibberish because Word doesn’t know WordPerfect’s “interpretive context”, as McCabe argues.

Imagine our universe frozen in a static state at a moment in time, as innumerable physical states that have no information at all in themselves. Information requires an observer to decode it but who could “read” it? Not us, as we would be frozen too! A frozen world without an observer would be as empty of information as this page is without a reader. To save and reload a physical universe one must define its data structure and exist outside it!

-- Misplaced quantum chemistry results --
=====
Here is a molecular structure, C12H30BeF2N2O4Pb in a non-equilibrium geometry from the Open Molecules 2025 dataset. Energies are from wB97M-V/def2-TZVPD.

Geometry as XYZ:
```
52
Properties=species:S:1:pos:R:3:mulliken_charge:R:1
Be -3.55522 -2.37107 -1.62209 0.876
Pb 2.42671 0.98310 0.71370 1.659
F -1.68502 -0.36318 1.78859 -0.612
F 0.75314 -1.52684 -2.51919 -0.621
C -5.09438 1.48978 -2.25986 -0.806
O -4.87496 0.68435 -3.34778 -0.231
C -4.25114 1.44212 -4.42070 -0.729
C -4.08633 0.59892 -5.69956 -0.698
N -3.35956 -0.63707 -5.30585 -0.129
C -3.11659 -1.45810 -6.48887 -0.742
C -2.66719 -2.83339 -5.97838 -0.740
O -3.58947 -3.39757 -5.01318 -0.254
C -4.36661 -4.47430 -5.43536 -0.681
H -5.57301 2.45173 -2.44338 0.327
H -4.13571 1.74067 -1.80587 0.372
H -5.65579 0.95419 -1.49431 0.253
H -3.27406 1.80944 -4.10688 0.405
H -4.73644 2.38197 -4.68388 0.473
H -3.29670 1.12701 -6.23407 0.361
H -4.93872 0.44575 -6.36143 0.496
H -2.45788 -0.45736 -4.88778 0.285
H -2.47967 -0.89723 -7.17288 0.465
H -4.00515 -1.52017 -7.11713 0.388
H -1.63574 -2.86962 -5.62782 0.447
H -2.47700 -3.45677 -6.85207 0.438
H -5.31212 -4.22224 -5.91555 0.282
H -4.58644 -4.93740 -4.47344 0.207
H -3.85240 -5.07727 -6.18377 0.327
C 1.80053 1.97288 5.69311 -0.436
O 2.70267 2.51649 4.69578 -0.356
C 3.94556 3.02480 5.20400 -0.548
C 5.08881 2.85708 4.17982 -0.890
N 5.33203 1.50416 3.72656 -0.246
C 5.77712 0.54970 4.79513 -0.853
C 4.68627 -0.29821 5.46023 -0.398
O 3.95130 -0.86248 4.45186 -0.298
C 2.92473 -1.70209 4.91850 -0.821
H 2.07122 0.92646 5.83395 0.036
H 0.80648 1.98824 5.24620 0.294
H 1.71433 2.60300 6.57834 0.315
H 4.20538 2.49244 6.11898 0.353
H 3.72214 4.06772 5.42874 0.476
H 5.98319 3.20961 4.69354 0.444
H 4.80382 3.42849 3.29644 0.353
H 6.15912 1.67552 3.17280 0.327
H 6.29424 1.03473 5.62304 0.363
H 6.59293 -0.02996 4.36321 0.534
H 4.02765 0.22211 6.15563 0.187
H 5.19263 -0.98938 6.13402 0.437
H 2.35409 -1.29222 5.75185 0.322
H 3.48378 -2.54081 5.33335 0.343
H 2.26321 -1.96767 4.09390 0.242
```

Its HOMO-LUMO gap is 0.1023 Eh. Its energy above the lowest of the compared OMol25 structures with the same formula, charge and spin is 1988.21 kJ/mol. The multiplicity is 1. The HOMO energy comes out at -13.70 eV. As for the net charge: +2.


Here is a molecular structure, C24H27N5PbS2 from the Open Molecules 2025 dataset. Energies are from wB97M-V/def2-TZVPD.

Geometry as XYZ:
```
59
Properties=species:S:1:pos:R:3:mulliken_charge:R:1
Pb 0.14996 -1.22000 -1.22653 1.102
C 3.44206 -0.82938 -0.49155 -1.031
C 2.76670 0.50369 -0.43763 0.711
N 1.57563 0.77888 -0.94202 -0.130
C 1.27079 2.12622 -0.77308 -1.403
C 2.22860 2.83407 -0.12964 -0.794
S 3.53662 1.83658 0.28454 -0.057
C -0.94586 1.89014 -2.13671 0.363
C -2.16615 2.67366 -2.59781 -0.046
S -3.57216 2.06537 -2.11576 0.043
C -2.69590 0.74659 -1.18233 0.587
N -1.43747 0.79612 -1.30431 -0.127
C -3.50302 -0.25017 -0.44284 -1.233
H 2.76486 -1.63188 -0.78939 0.147
H 3.88108 -1.09230 0.47024 0.388
H 4.24906 -0.80807 -1.22698 0.379
=====
-- Here the article continues --

When we store movies in file to replay later, we need an agreed format like mp3. To play the file, we also need something to dynamically play it, like a laptop or projector, so without a projector to play it, there is no movie. Likewise, a computer plugged into a power source is needed to run a program file. So even if one could save the universe as static data, what “projector” using what power source could reload and run it? Information stored as a static file always needs a dynamic system to reload into.

Trans-humanists take the mind to exist entirely as information encoded in the physical brain, so expect that we will soon be able to upload the mind and download it to a new, younger, body and so live forever. However even if we could make a perfect physical copy of a brain at a moment, that is no better than taking a photo in a movie theater and taking a photo of a movie doesn’t “store” it, as one frame is not a movie. Even many photos taken and replayed in sequence doesn’t “resurrect” the person, any more than playing a movie of a dead person resurrects them. Recording a physical scene and replaying it as a hologram may emulate a dead relative but it doesn’t recreate them. The viewing experience would be real but the “person” viewed wouldn’t experience life as an observer. Information based on physical states still needs an observer, so one has to copy the observer as well. In the same way, saving a multi-player online game doesn’t save the other people playing it because they aren’t “in” the game. Chapter 6 returns to the issue of the need for an observer in more detail.

Since genes are information, why not copy genes to create a biological copy of ourselves? This can be done but nature already does it, as identical twins are from copies of the same original cell. Yet the result is twins that are two different people not the same person. A clone of me doesn’t make another me but another person. Even if that copy of “me” has experiences, it still isn’t me if I don’t experience what the clone does.

Something is missing in the reloading reality idea and it is the quantum reality behind physical events. If that is what “runs” physical reality, the question reduces to whether quantum processing can be saved and reloaded.
